Hi guys, I just have some confusion after a month of working with Zama Concrete as well as Concrete ML. Why do Zama’s current open sources and projects only focus on the TFHE technique? Will the team consider other FHE methods like CKKS in the future thus TFHE only support interger interaction?
One month? Awesome, what do you think about the product? What have you been able to build, here? What’s missing for your use-case?
For your question: for now, Zama is only about TFHE, indeed. TFHE is a scheme which is able to handle all the operations, thanks to its unique programmable bootstrapping (PBS), which is the equivalent of table lookup in FHE. Also, TFHE is exact: the results you have in FHE are exactly the results you have in the clear. It’s very convenient for developers. With CKKS, you have approximate computations, which is less convenient and can bring some troubles in some applications.
What’s the problem you have with TFHE? If it’s related to non-native compatibility with floats, there are a lot of solutions for that. Eg, in Concrete ML, we handle the quantization of models, weights, inputs etc directly under the hood, so things should be pretty straight forward for the user. Basically, a user of Concrete ML will most of the time not even have to know that quantization happens.
Does it answer your question?
Hi benoit,
Thank you for your answer.
It just came to my mind that if we work with some complex dataset or advanced ML models, the accuracy and precision may be badly affected if we do quantization or pruning thus for me, quantization is just a solution but not perfect for us to work with integers in FHE ( especially TFHE). Because of those, I am thinking of CKKS which can process the float, but of course, it is just the approximate approach .
Anyway, thank you for your confirmation, it helps me a lot.
Even with floats, there is a limited precision! And as you said, when we have approximate computations, it also reduces the precision.
I wouldn’t say quantization is bad per se: it’s used in ML field, independently of FHE, for a very long time, eg to compress models or to make them faster. And it’s a fruitful area of research: researchers are able to have excellent results, even by quantizing a lot!
What we have done in Concrete ML is to split the work and responsabilities:
- everything which is related to cryptography is done by the product, the user doesn’t have to take care of it;
Inserted here: data records =
********
This record from the Alexandria database describes a geometry-optimized MnSe3F structure. The functional is GGA+U.

Cell: 4.6771 4.6771 4.6771 Å, 90.00 90.00 90.00°
Positions (direct):
1 Mn 0.0000 0.0000 0.0000
2 Se 0.0000 0.5000 0.5000
3 Se 0.5000 0.0000 0.5000
4 Se 0.5000 0.5000 0.0000
5 F 0.5000 0.5000 0.5000

Output
Spin magnetization ... 1.00 μB per atom
Total DFT energy (no corrections) ... -3.710 eV/atom
Theoretical density ... 5.04 Mg/m³
V ... 102.3 Å³/cell
D(E_F) ... 2.49 states/eV/f.u.

----------

This record from Alexandria describes a geometry-optimized NaLa3I structure. The functional is PBE.

- Space group: Pm-3m, No. 221
- Formation energy without anion corrections: 0.0249 eV/atom
- Volume: 221.4 Å³/cell
- ΔE to the lowest computed polymorph: 0.0000 eV per atom
- E_tot: -3.5054 eV per atom

Geometry as CIF:
```
data_NaLa3I
_chemical_formula_sum 'Na1 La3 I1'
_space_group_name_H-M_alt 'P 1'
_space_group_IT_number 1
_cell_length_a 6.049
_cell_length_b 6.049
_cell_length_c 6.049
_cell_angle_alpha 90.00
_cell_angle_beta 90.00
_cell_angle_gamma 90.00
loop_
_space_group_symop_operation_xyz
'x,y,z'
loop_
_atom_site_label
_atom_site_type_symbol
_atom_site_fract_x
_atom_site_fract_y
_atom_site_fract_z
Na1 Na 0.000 0.000 0.000
La1 La 0.000 0.500 0.500
La2 La 0.500 0.000 0.500
La3 La 0.500 0.500 0.000
I1 I 0.500 0.500 0.500
```
********
- on the other side, what is related to ML, and in particular quantization for deep learning, is sometimes managed by the user, who can do better work than what could be done by the compiler. Indeed, the user can do modifications that the compiler would not be allowed / able to do (like changing layers or making quantization-aware training).
We kept things simple for ML models (linear models, tree-based models) for the users, by making the best choice for them. And we let the flexibility for DL models (torch-like models), to let them make these best choices.
Can I read and analyze the encryption part in the source code on Github? Since I quite want to take a deeper look at FHE cryptography
- Of course you can, everything we do is open source: Zama · GitHub
- Let’s keep one question per thread, for clarity
So, to continue, I encourage you to ask a few more details in another post in discourse, or to chat live with developers in discord.fhe.org. See you there
Sure thank you for supporting me. Your answer helps me a lot